Rumors of Early Fall, 824

  • Caravans traveling between Juldan and Luvik have been getting lost in heavy fog and never returning.
  • Grandmother Shrub is a Partner in the White Forest Trading Company. The “White Forest” name comes from her hair.
  • When the Whisperblades mercenary group tried to join the forces heading from Xiem to Rensul, they were sent away for being weaklings.
  • Stabby Bitey Man isn’t an Oak Harbor local
  • The Witchwood is filled with whispers of darkness.
  • Tour Oak Harbor, site of Evren’s largest pile of spent elixir bottles!
  • Caius has been sleeping like a rock
  • All the Emissaries now have bodyguards. But who is guarding the guards?
  • Öykü is the obvious choice for Banner-bearer.
  • The green gates around Asola have been joined by yellow ones.
  • Lesovik can now make paper by shaving off bits of his own bark-skin.
Records of crystals, kept here for reference:
/*
Entry 1:
Structure and calculated XRD peak list of Nd6AuCl8 (a cell relaxed with PBE; Cu Kα, 1.54184 Å).

The 10 most intense peaks (10° ≤ 2θ ≤ 90°), most intense first:
- 30.7°, I 1000
- 43.3°, I 384
- 26.7°, I 353
- 44.6°, I 335
- 36.4°, I 238
- 55.1°, I 183
- 71.6°, I 160
- 73.4°, I 153
- 45.5°, I 133
- 81.2°, I 120

Structure:
Cell: 11.1599 11.1599 11.1599 Å, 36.79 36.79 36.79°
Element x y z (fractional)
Nd  0.0543  0.7216  0.3895
Nd  0.2784  0.6105  0.9457
Nd  0.3895  0.0543  0.7216
Nd  0.6105  0.9457  0.2784
Nd  0.7216  0.3895  0.0543
Nd  0.9457  0.2784  0.6105
Au  0.0000  0.0000  0.0000
Cl  0.1096  0.4348  0.7821
Cl  0.2179  0.8904  0.5652
Cl  0.3335  0.3335  0.3335
Cl  0.4348  0.7821  0.1096
Cl  0.5652  0.2179  0.8904
Cl  0.6665  0.6665  0.6665
Cl  0.7821  0.1096  0.4348
Cl  0.8904  0.5652  0.2179

***

Entry 2:
Structure and calculated XRD peak list of Nd3RhAuCl (a cell relaxed with PBE; Cu Kα, 1.54184 Å).

The 10 most intense peaks (10° ≤ 2θ ≤ 90°), most intense first:
- 30.5°, I 1000
- 30.7°, I 669
- 28.8°, I 471
- 35.8°, I 463
- 32.9°, I 403
- 42.5°, I 396
- 39.2°, I 259
- 44.0°, I 238
- 29.1°, I 234
- 54.7°, I 229

Structure:
Cell: 8.2367 4.2579 9.4946 Å, 90.00 101.32 90.00°
Element x y z (fractional)
Nd  0.0681  0.2500  0.3406
Nd  0.2073  0.2500  0.9673
Nd  0.3862  0.7500  0.6143
Nd  0.6138  0.2500  0.3857
Nd  0.7927  0.7500  0.0327
Nd  0.9319  0.7500  0.6594
Rh  0.1634  0.2500  0.6440
Rh  0.8366  0.7500  0.3560
Au  0.2944  0.7500  0.2524
Au  0.7056  0.2500  0.7476
Cl  0.4090  0.7500  0.9060
Cl  0.5910  0.2500  0.0940

***

Entry 3:
Structure and calculated XRD peak list of TlNiAuCl6 (a cell relaxed with PBE; Cu Kα, 1.54184 Å).

The 10 most intense peaks (10° ≤ 2θ ≤ 90°), most intense first:
- 20.2°, I 1000
- 37.7°, I 500
- 44.9°, I 258
- 27.7°, I 234
- 34.6°, I 234
- 49.0°, I 156
- 41.4°, I 144
- 58.6°, I 115
- 61.4°, I 111
- 50.6°, I 109

Structure:
Cell: 6.4380 6.4380 7.1064 Å, 90.00 90.00 120.00°
Element x y z (fractional)
Tl  0.0000  0.0000  0.0000
Ni  0.6667  0.3333  0.5000
Au  0.3333  0.6667  0.5000
Cl  0.3749  0.0166  0.6945
Cl  0.3749  0.3582  0.3055
Cl  0.6418  0.0166  0.3055
Cl  0.6418  0.6251  0.6945
Cl  0.9834  0.3582  0.6945
Cl  0.9834  0.6251  0.3055

***

Entry 4:
Structure and calculated XRD peak list of AuCl2O2 (a cell relaxed with PBE; Cu Kα, 1.54184 Å).

The 10 most intense peaks (10° ≤ 2θ ≤ 90°), most intense first:
- 22.5°, I 1000
- 10.7°, I 959
- 21.6°, I 735
- 29.4°, I 505
- 35.9°, I 392
- 26.2°, I 367
- 33.3°, I 326
- 32.3°, I 307
- 42.3°, I 291
- 51.0°, I 274

Structure:
Cell: 16.6988 16.6988 16.6988 Å, 166.33 166.33 19.38°
Element x y z (fractional)
Au  0.3750  0.6250  0.7500
Au  0.6250  0.3750  0.2500
Cl  0.2385  0.4885  0.7500
Cl  0.4885  0.2385  0.2500
Cl  0.5115  0.7615  0.7500
Cl  0.7615  0.5115  0.2500
O  0.1398  0.3898  0.7500
O  0.3898  0.1398  0.2500
O  0.6102  0.8602  0.7500
O  0.8602  0.6102  0.2500

***

Entry 5:
*/
  • Gheist is the obvious choice for bear-banner.
  • Leopold is thinking of proposing to Tanar Guirana so that the Petulengros have broader university influence.
  • Word has spread about The Battle at Puffs Peak and mercenaries have been on the hunt for this sentient mushroom ‘Puff’
  • I heard a weird song on the bridge to Vigor.
  • The Whisperblades are pretty annoyed at the person spreading rumors about them. But surely they aren’t competent enough to take revenge. Right?
  • Check your pockets - people seem to be missing many trinkets and such these days.
  • Isn’t Mar a little short to be a Guardian?
  • Sometimes it is difficult to tell performance from reality.
  • Noran, Noren, Norrin, Noron, and Norun walk into a bar. Neither Noren no anyone else ducks. They say ouch.
  • Amos is stabby, bitey man.
  • Alchemists have found a way to combine figs, mint, and reptiles but nobody knows what for.
  • Cartis Mann is the Jade Dragon
  • The gate fee is a lie.
  • Several local Dalers have gone missing lately.
  • Elessar won’t join the kith in Oak harbor because he’s too much of a fungi. No, seriously.
  • Dolan is turning over a new Leaf.
  • The fighting pit will be strictly for dance battles.
  • Time to make some feathered friends.
  • Kobolds have been seen sneaking out of various homes with leaf, shiny objects, and…left shoes? Most escaped into the woods.
  • The web is a trap that keeps the spider from leaving.
  • Velliar scholars recently uncovered an ancient language and the most interesting discovery therein is that “Kael” is an ancient word that roughly translates to “hoarder of secrets”
  • Signe is stabby, bitey man.
  • Grandmother Shrub isn’t mad, she’s just disappointed in you.
  • Talus knows what you did Enki.
  • There was a big fight in the Luvik harbor. Word is some ships were ships were heavily damaged.
  • The Great Apple Spirit is upset with Amos.
  • Massive corridors of flame in the forest.
  • At the rate the Oak Harbor graveyard is filling up, people low on spirit should consider making reservations if they want a stone there.
  • The alchemy guild stole its house plant.
  • The Witchwood is Evrish, so it likes to bring its wanderers together to meet.
  • Mar is short for Marmalade
  • A smith reported his whole stock of iron eaten.
  • Stabby, bitey man is HERE and READY TO MINGLE
  • Citizens of Oak Harbor have reported seeing a ‘dream garden’ that quickly disappears once focused on at the edge of the witchwood
  • Val has caught the attention of a Human Lothlan
  • Gheist got his name because he finds people to haunt. Malori is his latest target.
  • Local herders are upset about renewed attacks on their flocks by wolves.
  • The Great Animal Spirits have short tempers these days.
  • Herbert is the Jade Dragon
  • Spira is creating life that was not meant to be.
  • Strange yellow beings have been spotted offering pieces of themselves to passerby.
  • Sigurd has been elected vice president of the HOA and appointed to the town council. The HOA president must be feeling pretty nervous about keeping his position in the face of this rising political star.
  • SCREAM has made real inroads on our reputation.
  • The cheese cult’s rituals are just nonsense and definitely have no real effects.
  • Zaffiro miners can really drink!
  • Yorick wants Amos’ job so he can do all the crime.
  • Eleanora wants to defeat Treasure to become a dragon herself.
  • Animal names are the latest trend in Lothlan rykta.
  • A giant fire worm set the lumber yard on fire.
  • Does the Gatekeeper of Void look shorter lately?
  • Yorrick is a wizard. You can tell because he wears yellow.
  • Whoever stops the Puppet Master will be owed a great boon by the Witchwood.
  • Morpho is the Jade Dragon
  • Nem is challenging Scourge for the role of great (tavern) rat spirit.
  • There’s deep shit, and then there’s what Leopold is in.
  • I hope you don’t like corn. Two?? magmyriad set all the corn fields on fire.
  • That which is not sought is rarely found, unless it is undesired.
  • A kobold in a hat was seen darting into the woods with a painting
  • Puppet parts make good kindling.
  • Not everything that washes ashore should have left the sea.
  • Roderago plans to summon enough spirits to form a choir.
  • An old acquaintence approaches from the shadows.
  • Gheist is a cheese enthusiast
  • Librarians are complaining about cheesy smudges left on the recently borrowed scrolls.
  • Velikah uses loaded dice.
  • Puppets and Pirates and Shades, Oh My.
  • The Thing in the Mine is still lurking.
  • Shattered Puppets were found outside the Bergmonch’s mine.
  • Be careful who and what you follow through the woods. You may find what you’re looking for.
  • The Davenstern are recruiting Enki to put Yorick in his place.
  • Mo is tryin to collect magical body parts to turn himself into a golem super soldier.
  • Dolan is producing scrolls of Good Luck to ensure the house always wins at gambling.
  • Hopefully someone runs a talk at the next Symposium on how to distinguish different serpents from one another.
  • Someone tried to rob the Kiths’ while they were at Jubilee, but got caught.
  • Don’t believe what they told you, the bushes do bite.
  • The wizards and Velliar are weirdly into rocks these days
_Materials data from another source follow_
~~~
# 1
# LiTl6Si2O7
Simulated powder X-ray diffraction pattern, Cu Kα. Input: DFT lattice parameters and positions (PBE).
Kinematic intensities with the Lorentz-polarization factor, no thermal factor.

Cell and atoms:
abc: 8.5564 8.5564 5.2055
angles: 90.00 90.00 120.00
Sites, in units of the cell vectors:
Li 0.0000 0.0000 0.0000
Tl 0.0982 0.3714 0.8471
Tl 0.2733 0.9018 0.8471
Tl 0.3797 0.2855 0.3869
Tl 0.6286 0.7267 0.8471
Tl 0.7145 0.0943 0.3869
Tl 0.9057 0.6203 0.3869
Si 0.3333 0.6667 0.3438
Si 0.6667 0.3333 0.8912
O 0.1271 0.5256 0.4461
O 0.3333 0.6667 0.0208
O 0.3986 0.8729 0.4461
O 0.4744 0.6014 0.4461
O 0.5183 0.3946 0.8993
O 0.6054 0.1237 0.8993
O 0.8763 0.4817 0.8993

Most intense lines, 2θ from 15° to 90°, by intensity:
2θ = 26.98°, rel. 100
2θ = 29.59°, rel. 66
2θ = 31.95°, rel. 63
2θ = 20.81°, rel. 43
2θ = 47.70°, rel. 39
2θ = 47.57°, rel. 34
2θ = 56.98°, rel. 30
2θ = 34.46°, rel. 27
2θ = 57.10°, rel. 14
2θ = 44.06°, rel. 14

# 2
# LiTmSi2O6
Simulated powder X-ray diffraction pattern, Cu Kα. Input: DFT lattice parameters and positions (PBE).
Kinematic intensities with the Lorentz-polarization factor, no thermal factor.

Cell and atoms:
abc: 6.9068 6.9068 5.4996
angles: 105.25 105.25 86.05
Sites, in units of the cell vectors:
Li 0.2419 0.7581 0.7500
Li 0.7581 0.2419 0.2500
Tm 0.1140 0.8860 0.2500
Tm 0.8860 0.1140 0.7500
Si 0.2166 0.3828 0.2930
Si 0.3828 0.2166 0.7930
Si 0.6172 0.7834 0.2070
Si 0.7834 0.6172 0.7070
O 0.0407 0.2073 0.1708
O 0.1393 0.6119 0.3674
O 0.2073 0.0407 0.6708
O 0.3382 0.3612 0.0640
O 0.3612 0.3382 0.5640
O 0.3881 0.8607 0.1326
O 0.6119 0.1393 0.8674
O 0.6388 0.6618 0.4360
O 0.6618 0.6388 0.9360
O 0.7927 0.9593 0.3292
O 0.8607 0.3881 0.6326
O 0.9593 0.7927 0.8292

Most intense lines, 2θ from 15° to 90°, by intensity:
2θ = 27.97°, rel. 100
2θ = 29.99°, rel. 71
2θ = 18.95°, rel. 54
2θ = 24.44°, rel. 52
2θ = 18.83°, rel. 43
2θ = 40.74°, rel. 36
2θ = 35.67°, rel. 34
2θ = 39.90°, rel. 27
2θ = 34.97°, rel. 26
2θ = 32.99°, rel. 26

# 3
# Li2USiO6
Simulated powder X-ray diffraction pattern, Cu Kα. Input: DFT lattice parameters and positions (PBE).
Kinematic intensities with the Lorentz-polarization factor, no thermal factor.

Cell and atoms:
abc: 5.3328 5.3328 4.3028
angles: 90.00 90.00 90.00
Sites, in units of the cell vectors:
Li 0.0000 0.5000 0.0000
Li 0.5000 0.0000 0.0000
U 0.0000 0.0000 0.6682
Si 0.5000 0.5000 0.6140
O 0.0000 0.0000 0.1811
O 0.2704 0.2704 0.7241
O 0.2704 0.7296 0.7241
O 0.5000 0.5000 0.2409
O 0.7296 0.2704 0.7241
O 0.7296 0.7296 0.7241

Most intense lines, 2θ from 15° to 90°, by intensity:
2θ = 23.59°, rel. 100
2θ = 16.62°, rel. 94
2θ = 20.64°, rel. 69
2θ = 26.62°, rel. 66
2θ = 31.55°, rel. 64
2θ = 43.38°, rel. 44
2θ = 37.72°, rel. 32
2θ = 48.73°, rel. 29
2θ = 33.61°, rel. 28
2θ = 58.81°, rel. 23

~~~~~

# VH14C4NO2F3
Simulated PXRD pattern, Cu Kα (weighted mean of Kα1 and Kα2). Input: DFT lattice parameters and positions (PBE+U).
Neutral-atom scattering factors, no anomalous dispersion.
~~~
  • The real Treasure was the enemies we found along the way
  • Hats are clearly in style, more and more townsfolk are wearing them every day
  • Games should be played to the death, it’s only sporting
  • Velikah is particularly effective with bone dice, if you want to win, you should switch to a different material
  • Gatekeepers tend to be really chatty, if you can get them talking
  • The Gold Acorn are attempting to replace Ficus with a different houseplant